At the end of 2012 we carried out our biggest investment in calibration equipment so far in our 26+ year history. We purchased a $250K fully-automated Fluke dead weight tester (Piston Gauge). This is the first of its kind in Australasia and one of only a small number used in a commercial pressure calibration facility anywhere in the world.
This Piston Gauge allows us to undertake pressure calibration in Gauge or Absolute mode, with uncertainties approaching 20 PPM (0.002% of Reading accuracy). This is 5-10 times lower than anything else in New Zealand or Australia, in the range of 5 kPa to 7000 kPa. This is the calibrator that tests other calibrators, so its right at the top of the calibration pyramid. If you get your pressure gear calibrated by the likes of CPS, Pentair, Gauge Cal North, GaugeTec, Total Automation, to name a few, and a number of onsite instrument service companies, it will most likely be reverse traceable back to this tester. (Well that is the intention going forward, as it will mainly be used for calibration of their gear, which calibrates your gear). This Piston Gauge is also used to calibrate Dead Weight testers.
### Next to the piece, the page also holds materials data
'''
Material: Pr2Mo3O12
Method: DFT, GGA+U
State: optimized geometry

Cell lengths 10.739, 10.768, 11.071 Å; angles 90.00, 90.00, 90.00 degrees
Space group Pba2 (No. 32)
One atom of each set of equivalent atoms:
Pr1 0.007 0.189 0.000
Pr2 0.189 0.505 0.525
Mo1 0.003 0.793 0.620
Mo2 0.206 0.511 0.906
Mo3 0.243 0.757 0.263
O1 0.006 0.370 0.574
O2 0.020 0.195 0.779
O3 0.114 0.118 0.545
O4 0.116 0.388 0.969
O5 0.126 0.828 0.171
O6 0.131 0.994 0.951
O7 0.146 0.182 0.166
O8 0.157 0.844 0.582
O9 0.158 0.662 0.956
O10 0.171 0.644 0.360
O11 0.183 0.372 0.355
O12 0.193 0.511 0.746

Summary:
DFT total energy   -7.55 eV/atom
Energy of formation from the pure elements   -2.63 eV/atom
Volume   18.83 Å³ per atom


Material: Li2Si4Ni5O14
Method: DFT, GGA+U
State: optimized geometry

Cell lengths 5.411, 7.436, 14.392 Å; angles 85.54, 79.94, 75.56 degrees
Space group P-1 (No. 2)
One atom of each set of equivalent atoms:
Li1 0.230 0.120 0.269
Li2 0.239 0.626 0.774
Si1 0.197 0.514 0.200
Si2 0.211 0.021 0.694
Si3 0.490 0.294 0.430
Si4 0.491 0.787 0.933
Ni1 0.000 0.000 0.500
Ni2 0.000 0.500 0.000
Ni3 0.081 0.997 0.096
Ni4 0.098 0.557 0.581
Ni5 0.355 0.726 0.351
Ni6 0.374 0.235 0.852
O1 0.029 0.941 0.367
O2 0.040 0.454 0.863
O3 0.112 0.392 0.293
O4 0.114 0.897 0.785
O5 0.185 0.844 0.981
O6 0.201 0.349 0.490
O7 0.286 0.703 0.216
O8 0.288 0.759 0.499
O9 0.322 0.193 0.719
O10 0.325 0.296 0.988
O11 0.412 0.037 0.127
O12 0.426 0.538 0.640
O13 0.469 0.380 0.143
O14 0.478 0.891 0.632

Summary:
DFT total energy   -6.36 eV/atom
Energy of formation from the pure elements   -2.30 eV/atom
Volume   11.04 Å³ per atom


no.,spin magnetization (μB/atom)
1,0.00
2,0.40


[1]
Density functional theory data (PBE) for a relaxed structure of YUSb2.

POSCAR file:
```
YUSb2
1.0
4.342 0.000 0.000
-2.171 3.760 0.000
0.000 0.000 22.016
Y U Sb
3 3 6
direct
0.000 0.000 0.000
0.333 0.667 0.667
0.667 0.333 0.333
0.000 0.000 0.500
0.333 0.667 0.167
0.667 0.333 0.833
0.000 0.000 0.250
0.000 0.000 0.750
0.333 0.667 0.416
0.333 0.667 0.917
0.667 0.333 0.083
0.667 0.333 0.584
```

Output
calculated density = 7.91 Mg/m³

[2]
Density functional theory data (PBE) for a relaxed structure of VSb.

POSCAR file:
```
VSb
1.0
4.140 0.000 0.000
-2.070 3.585 0.000
0.000 0.000 5.591
V Sb
2 2
direct
0.000 0.000 0.000
0.000 0.000 0.500
0.333 0.667 0.250
0.667 0.333 0.750
```

Output
calculated density = 6.91 Mg/m³
total magnetic moment = 2.90 μB per cell

[3]
Density functional theory data (PBE) for a relaxed structure of V5Sb4.

POSCAR file:
```
V5Sb4
1.0
-4.946 4.946 1.722
4.946 -4.946 1.722
4.946 4.946 -1.722
V Sb
5 4
direct
0.000 0.000 0.000
0.318 0.386 0.704
0.386 0.682 0.068
0.614 0.318 0.932
0.682 0.614 0.296
0.063 0.290 0.353
0.290 0.937 0.227
0.710 0.063 0.773
0.937 0.710 0.647
```

Output
calculated density = 7.31 Mg/m³

[4]
Density functional theory data (PBE) for a relaxed structure of Zr5V6Sb18.

POSCAR file:
```
Zr5V6Sb18
1.0
-3.284 3.284 30.085
3.284 -3.284 30.085
3.284 3.284 -30.085
Zr V Sb
10 12 36
direct
'''
The logic about spending such a significant sum of money was really two-fold. Over the last few years we have sold a number of Fluke high-accuracy, pressure controllers here in NZ. There needed to be a way of calibrating these units here in New Zealand, instead of sending them back to Fluke in the US each year, at a high cost. But the real issue was the risk of damage or loss by sending high accuracy calibration gear overseas each year. The second part was about calibrating our own pressure controllers and other high-end pressure and flow calibration equipment.
The commitment was made back in November 2012 to buy the PG 7601 Piston Gauge with the Automate Mass Handling (AMH) addition.
Next to the entry, the page also holds crystal structures:
- - -
1.
Compound: DyPt3
Source: the Materials Project database
Functional: PBE
Structure: optimized geometry

Properties
* energy relative to the elements: -4.03 eV per formula unit

Unit cell a=4.122 b=4.122 c=4.122 alpha=90.00 beta=90.00 gamma=90.00
Fractional positions:
Dy 0.000 0.000 0.000
Pt 0.000 0.500 0.500
Pt 0.500 0.000 0.500
Pt 0.500 0.500 0.000

***

2.
Compound: Dy5SbPt2
Source: the Materials Project database
Functional: PBE
Structure: optimized geometry

Properties
* energy relative to the elements: -7.93 eV per formula unit

Unit cell a=8.761 b=8.761 c=8.761 alpha=127.56 beta=127.56 gamma=77.34
Fractional positions:
Dy 0.000 0.000 0.000
Dy 0.020 0.520 0.816
Dy 0.204 0.020 0.500
Dy 0.296 0.796 0.816
Dy 0.480 0.296 0.500
Dy 0.500 0.500 0.000
Dy 0.520 0.704 0.500
Dy 0.704 0.204 0.184
Dy 0.796 0.980 0.500
Dy 0.980 0.480 0.184
Sb 0.250 0.250 0.000
Sb 0.750 0.750 0.000
Pt 0.138 0.362 0.500
Pt 0.362 0.862 0.225
Pt 0.638 0.138 0.775
Pt 0.862 0.638 0.500

***

3.
Compound: DySi2Pt2
Source: the Materials Project database
Functional: PBE
Structure: optimized geometry

Properties
* energy relative to the elements: -5.13 eV per formula unit

Unit cell a=5.758 b=5.758 c=5.758 alpha=137.28 beta=137.28 gamma=62.01
Fractional positions:
Dy 0.000 0.000 0.000
Si 0.382 0.382 0.000
Si 0.618 0.618 0.000
Pt 0.250 0.750 0.500
Pt 0.750 0.250 0.500

~~~~~

Computed, not measured: a relaxed structure of Mo2P3O11 at the PBE with a Hubbard U level of DFT. Values from VASP.

Structure (Quantum ESPRESSO input):
```
&SYSTEM
  ibrav = 0, nat = 32, ntyp = 3
/
ATOMIC_SPECIES
Mo 95.94 Mo.upf
P 30.97 P.upf
O 16.00 O.upf
CELL_PARAMETERS angstrom
4.459 6.071 0.000
-4.459 6.071 0.000
0.000 3.777 8.301
ATOMIC_POSITIONS crystal
Mo 0.360 0.883 0.707
Mo 0.631 0.115 0.794
Mo 0.117 0.640 0.293
Mo 0.885 0.369 0.206
P 0.543 0.672 0.034
P 0.328 0.457 0.966
P 0.671 0.543 0.540
P 0.457 0.329 0.460
P 0.038 0.962 0.500
P 0.961 0.039 0.000
O 0.050 0.766 0.466
O 0.523 0.841 0.878
O 0.159 0.477 0.122
O 0.617 0.284 0.316
O 0.282 0.618 0.820
O 0.842 0.537 0.385
O 0.134 0.007 0.851
O 0.022 0.124 0.350
O 0.608 0.744 0.569
O 0.382 0.718 0.180
O 0.716 0.383 0.684
O 0.256 0.392 0.431
O 0.234 0.950 0.534
O 0.960 0.228 0.028
O 0.772 0.040 0.972
O 0.492 0.508 0.500
O 0.743 0.622 0.056
O 0.993 0.866 0.149
O 0.463 0.158 0.615
O 0.378 0.257 0.944
O 0.876 0.978 0.650
O 0.510 0.490 0.000
```

## Properties
Uncorrected energy, Ha/atom: -0.270
SG: No. 5
Total moment, μB per cell: 10.000
Relative energy among the computed polymorphs, meV/atom: 0
Energy of formation, eV/atom: -2.459
Volume, Å³/cell: 449
Theoretical density, Mg/m³: 3.4
- - -
Basically this is a fully-automated dead weight tester that can work in absolute mode, (the masses are enclosed in a glass bell jar which is evacuated to below 5 Pa Absolute). So the AMH lifts the weights (masses) on and off the piston as required. Then a pressure controller delivers the pressure required to float the piston and masses. All this is driven by Fluke Compass for Pressure software. Which allows us to do fully- automated calibrations overnight. The Compass for Pressure software is the glue that ties everything together. It talks to the piston gauge for piston position, tells the AMG what masses to load, tells the PG (which tells the pressure controller what pressure it should be), then after everything is stable and piston is floating, it takes data from the device under test, i.e. be it a pressure controller or a XP2i digital gauge.
We can tailor the calibration to our customers needs; extra points, more points around a certain pressure, up and down four times if you wanted, and so on.
== The page is interrupted by materials data ==
- - -
Record 1
This record from the Materials Project database describes CaMn28 after structural relaxation. The functional is GGA-PBE.

Output
uncorrected energy: -256.50 eV/cell

The structure in POSCAR format:
```
CaMn28
1.0
-4.381 4.381 4.381
4.381 -4.381 4.381
4.381 4.381 -4.381
Ca Mn
1 28
Cartesian
0.000 0.000 0.000
-2.746 2.746 2.746
2.746 -2.746 2.746
2.746 2.746 -2.746
1.635 1.635 1.635
1.262 -1.262 4.681
-0.300 3.119 3.119
1.262 4.681 -1.262
-1.262 1.262 4.681
4.681 1.262 -1.262
3.119 -0.300 3.119
3.119 3.119 -0.300
4.681 -1.262 1.262
-1.262 4.681 1.262
1.262 1.262 4.081
4.081 1.262 1.262
1.262 4.081 1.262
-0.789 0.789 2.553
6.209 0.789 0.789
-0.789 2.553 0.789
0.789 -0.789 2.553
2.553 -0.789 0.789
0.789 6.209 0.789
0.789 0.789 6.209
2.553 0.789 -0.789
0.789 2.553 -0.789
3.592 3.592 1.828
1.828 3.592 3.592
3.592 1.828 3.592
```


Record 2
This record from the Materials Project database describes BaInCuF7 after structural relaxation. The functional is GGA-PBE.

Output
uncorrected energy: -96.86 eV/cell

The structure in POSCAR format:
```
BaInCuF7
1.0
-1.342 -6.355 2.166
0.912 2.046 6.470
-6.476 -0.552 4.469
Ba In Cu F
2 2 2 14
Cartesian
-1.573 -1.320 5.933
-5.332 -3.540 7.171
-3.238 -0.276 2.234
0.000 0.000 0.000
0.456 1.023 3.235
-3.909 -3.453 3.317
-5.146 -0.305 6.111
-2.489 -2.194 2.767
-1.759 -4.556 6.994
-4.415 -2.666 10.337
-4.161 0.825 9.407
-2.744 -5.685 3.697
-6.955 -4.141 9.272
0.050 -0.720 3.833
-3.211 -1.981 8.003
-2.580 1.139 6.779
-7.394 -5.012 6.004
0.489 0.151 7.100
-3.693 -2.880 5.102
-4.325 -6.000 6.325
```


Record 3
This record from the Materials Project database describes La3TiCl5O4 after structural relaxation. The functional is GGA-PBE.

Output
uncorrected energy: -357.89 eV/cell

The structure in POSCAR format:
```
La3TiCl5O4
1.0
-0.243 -1.113 -3.920
-8.935 -11.199 3.733
-13.481 10.080 -2.025
La Ti Cl O
12 4 20 16
Cartesian
-9.268 4.516 -3.896
-13.391 -6.748 1.683
-20.215 -2.227 -1.303
-13.926 5.812 -1.849
-5.553 -4.316 -1.619
-2.444 -0.005 -0.910
-10.515 -3.557 -1.527
-17.106 2.085 -0.594
-15.280 -2.762 -1.457
-7.378 0.530 -0.756
-12.144 1.325 -0.686
-8.733 -8.044 -0.364
-14.524 2.545 -3.010
-17.748 -3.337 0.985
-4.911 1.106 -3.198
-8.135 -4.776 0.797
-10.818 -8.313 1.967
-7.767 -2.301 -2.054
-12.630 -1.477 -1.986
-12.909 -3.468 0.722
-7.442 3.518 -1.600
-10.029 -0.754 -0.227
-5.731 -7.349 -0.747
-11.234 4.055 -1.517
-11.425 -6.287 -0.696
-4.942 -1.547 -0.317
-15.217 -5.749 -0.613
-16.928 5.117 -1.466
-13.312 8.620 -2.684
-17.717 -0.685 -1.896
-20.263 0.804 -0.035
-9.347 -10.852 0.471
-14.892 0.070 -0.159
-11.841 6.081 -4.180
-9.750 1.236 -2.935
-2.396 -3.036 -2.178
-19.214 -2.227 0.761
-6.417 -4.145 0.511
-16.242 1.913 -2.724
-3.444 -0.005 -2.974
-9.615 -3.684 0.579
-13.648 -8.325 0.021
-14.275 4.308 -3.526
-9.011 6.093 -2.233
-8.276 -5.357 -1.155
-17.850 -3.869 -0.984
-8.384 -6.540 1.313
-6.610 0.426 -2.900
-14.383 3.126 -1.058
-16.049 -2.658 0.687
-4.809 1.637 -1.229
-13.044 1.452 -2.792
```


Record 4
- - -
This capability will help our customers lower their uncertainties, which means they can make better and more accurate pressure measurements, which in the long term is going to help this great country of ours.
This system is exactly the same equipment Crystal Engineering uses for manufacturing the XP2i and their other pressure gear.
I have included some photos of the machine, the first one is with the mass handling system and all the masses removed, the second one is with the masses loaded onto the base, the third one is with the mass handling system and its glass bell loaded over the weights, and finally the last pic is the pressure control part of the system. We can use either of our Fluke pressure controllers to control the pressure in the system and float the piston.
If you have a interest in pressure calibration and wish to see the latest, state-of-the-art tester, then you are most welcome to come in and have a look, just contact me to arrange.